Desperately Seeking Tentacles

So I’m putting together my presentation for Philadelphia Test Bash and I’m running it with a theme that’s more or less “insecure software opens portals to the nether realms where betentacled eldritch nightmares await”. So naturally, I need to add tentacles to my slide deck. Creepy music, too, if I can find any that will Read More…


That moment when

… you find yourself explaining the arcane business logic behind something that confused the living daylights out of you when you started working there. And realize that you’ve been there close to 4.5 years. And you actually understand most of what’s going on behind the scenes. This is particularly scary since most of what’s going Read More…

The piece is interrupted by materials data =
........
Starting from a crystal structure in Alexandria, relaxed with GGA-PBE, the X-ray diffraction stick pattern of CrHgC3 was simulated for copper Kα.

Main lines, in order of rising 2θ (2θ from 10° to 90°):
| Position (°2θ) | d [Å] | Rel. int. | (hkl) |
| --- | --- | --- | --- |
| 22.6 | 3.928 | 34.5 | 1 0 0 |
| 32.2 | 2.778 | 100.0 | 1 1 0 |
| 39.7 | 2.268 | 20.2 | 1 1 1 |
| 46.2 | 1.964 | 24.6 | 2 0 0 |
| 52.1 | 1.757 | 17.9 | 2 1 0 |
| 57.5 | 1.604 | 38.9 | 2 1 1 |
| 67.4 | 1.389 | 15.3 | 2 2 0 |
| 72.1 | 1.309 | 9.2 | 3 0 0 |
| 76.7 | 1.242 | 16.8 | 3 1 0 |
| 81.2 | 1.184 | 8.0 | 3 1 1 |

Cell: 3.928 3.928 3.928 Å, 90.00 90.00 90.00°
Space group Pm-3m (No. 221)
Symmetry-distinct sites (fractional):
Cr 0.000 0.000 0.000 x1
Hg 0.500 0.500 0.500 x1
C 0.000 0.000 0.500 x3

~~~~~

Record 1
The following is a simulated PXRD pattern of MgMnV5O12. It was derived from a crystal structure in the Materials Project, relaxed with GGA+U, using CuKα.

Structural model:
Unit cell a=6.955 b=6.955 c=5.832 alpha=106.74 beta=106.74 gamma=79.85
Sites, in units of the cell vectors:
Mg: 0.000 0.000 0.000
Mn: 0.799 0.201 0.500
V: 0.111 0.468 0.007
V: 0.335 0.083 0.491
V: 0.532 0.889 0.993
V: 0.638 0.362 0.000
V: 0.917 0.665 0.509
O: 0.033 0.686 0.837
O: 0.082 0.630 0.323
O: 0.096 0.205 0.471
O: 0.314 0.967 0.163
O: 0.359 0.378 0.033
O: 0.370 0.918 0.677
O: 0.522 0.248 0.614
O: 0.622 0.641 0.967
O: 0.724 0.070 0.088
O: 0.752 0.478 0.386
O: 0.795 0.904 0.529
O: 0.930 0.276 0.912

Peak list (10 most intense, 2θ = 15–90°, most intense first)
d 3.207, 2θ = 27.81°, rel. 100; d 3.091, 2θ = 28.88°, rel. 47; d 2.702, 2θ = 33.15°, rel. 44; d 1.734, 2θ = 52.80°, rel. 20; d 2.553, 2θ = 35.16°, rel. 20; d 4.463, 2θ = 19.89°, rel. 18; d 3.441, 2θ = 25.89°, rel. 17; d 1.782, 2θ = 51.26°, rel. 17; d 2.009, 2θ = 45.14°, rel. 15; d 1.454, 2θ = 64.06°, rel. 14

=====

Record 2
The following is a simulated PXRD pattern of SrCa7Ti2Mn6O24. It was derived from a crystal structure in the Materials Project, relaxed with GGA+U, using CuKα.

Structural model:
Unit cell a=7.696 b=7.657 c=7.657 alpha=89.97 beta=90.00 gamma=90.00
Sites, in units of the cell vectors:
Sr: 0.000 0.000 0.000
Ca: 0.000 0.001 0.494
Ca: 0.000 0.494 0.001
Ca: 0.000 0.494 0.494
Ca: 0.500 0.001 0.001
Ca: 0.500 0.001 0.494
Ca: 0.500 0.494 0.001
Ca: 0.500 0.494 0.494
Ti: 0.251 0.746 0.746
Ti: 0.749 0.746 0.746
Mn: 0.251 0.248 0.248
Mn: 0.251 0.248 0.747
Mn: 0.251 0.747 0.248
Mn: 0.749 0.248 0.248
Mn: 0.749 0.248 0.747
Mn: 0.749 0.747 0.248
O: 0.000 0.250 0.250
O: 0.000 0.250 0.744
O: 0.000 0.744 0.250
O: 0.000 0.745 0.745
O: 0.250 0.248 0.497
O: 0.250 0.493 0.747
O: 0.250 0.497 0.248
O: 0.250 0.747 0.493
O: 0.252 0.001 0.745
O: 0.252 0.745 0.001
O: 0.253 0.250 0.997
O: 0.253 0.997 0.250
O: 0.500 0.247 0.747
O: 0.500 0.248 0.248
O: 0.500 0.747 0.247
O: 0.500 0.747 0.747
O: 0.747 0.250 0.997
O: 0.747 0.997 0.250
O: 0.748 0.001 0.745
O: 0.748 0.745 0.001
O: 0.750 0.248 0.497
O: 0.750 0.493 0.747
O: 0.750 0.497 0.248
........


Learning a new art

I’m gradually getting a handle on writing non-fiction, by way of writing articles for the Ministry of Testing’s Dojo. This is a good thing, because I’m learning more about appropriate tone and not just rambling on screen as I tend to do with my blog posts. The count so far is three articles published this Read More…


More Software Shenanigans

This time from IIS, aka Microsoft’s web server, aka one of the many portals to the Elder Gods I’ve had to deal with. This time, we had the server deciding that it was going to completely ignore our carefully configured defaults and just drop a “sorry, no can do” on anyone who didn’t ask for Read More…


Lesson Learned

Today was going to be a semi-relaxing afternoon after a routine dentist visit. Ha. The minor, low-key release (yes, those are the danger words right there) proved to have problems that led to me firing up the work laptop as soon as I got home from the dentist so I could test the fix to Read More…


I Am A Happy Tester

Despite my clear inability to organize myself enough to do weekend posts, I sit here typing today a happy software tester. The reason for my happiness lies over at the Ministry of Testing’s Dojo, where they have announced the scheduled speakers for TestBash Philadelphia 2017. I’m one of them. This means I have a little Read More…


Things Customers Believe

It is truly remarkable what customers believe about software and software testing. Some of the ones that I’ve run into in the last week are doozies: If you get a popup that reeks malware it must be the fault of the software we just updated because it happened when the user was on that site. Read More…


Lessons Learned

**Here the piece breaks off for data records:**
+++
Entry 1:
Na2TbPCO7: theoretical X-ray powder pattern (Cu Kα, 1.54184 Å), based on a PBE-relaxed structure.
Lines closer than 0.1° are merged.

```
Na2TbPCO7
1.0
5.228 0.000 0.000
0.000 7.016 0.000
-0.168 0.000 9.246
Na Tb P C O
4 2 2 2 14
Cartesian
1.168 0.011 1.936
1.168 3.497 1.936
3.892 3.519 7.310
3.892 7.005 7.310
1.074 1.754 5.827
3.986 5.262 3.419
1.438 5.262 5.392
3.623 1.754 3.854
1.246 1.754 8.590
3.814 5.262 0.657
0.077 1.754 7.995
0.845 3.994 6.047
0.845 6.530 6.047
1.090 5.262 3.849
1.554 1.754 0.601
2.065 1.754 3.754
2.286 1.754 7.764
2.775 5.262 1.482
2.995 5.262 5.492
3.506 5.262 8.646
3.970 1.754 5.397
4.215 0.486 3.200
4.215 3.022 3.200
4.984 5.262 1.251
```

Top 10 peaks for 2θ from 10° to 90°, low angle first:
- 2θ 15.9, intensity 91
- 2θ 19.4, intensity 28
- 2θ 21.2, intensity 75
- 2θ 25.4, intensity 100
- 2θ 26.0, intensity 59
- 2θ 32.1, intensity 39
- 2θ 32.3, intensity 30
- 2θ 34.3, intensity 35
- 2θ 35.9, intensity 40
- 2θ 38.9, intensity 30



Entry 2:
ErThTc2: theoretical X-ray powder pattern (Cu Kα, 1.54184 Å), based on a PBE-relaxed structure.
Lines closer than 0.1° are merged.

```
ErThTc2
1.0
0.000 3.464 3.464
3.464 0.000 3.464
3.464 3.464 0.000
Er Th Tc
1 1 2
Cartesian
0.000 0.000 0.000
3.464 3.464 3.464
1.732 1.732 1.732
5.196 5.196 5.196
```

Top 10 peaks for 2θ from 10° to 90°, low angle first:
- 2θ 22.2, intensity 2
- 2θ 25.7, intensity 12
- 2θ 36.7, intensity 100
- 2θ 45.3, intensity 4
- 2θ 52.9, intensity 18
- 2θ 59.7, intensity 5
- 2θ 66.1, intensity 36
- 2θ 78.0, intensity 11
- 2θ 83.8, intensity 3
- 2θ 89.5, intensity 17

----------

1.
Theoretical powder XRD pattern of CaRh6S8 for Cu Kα (weighted mean of Kα1 and Kα2), from the PBE geometry in Alexandria.
Intensities are scaled so that the largest is 100.

Top 6 peaks for 2θ = 10–90°, low angle first:
2θ/deg	Rel. int.	hkl
13.78	100	1 0 1
31.01	38	3 -1 1
34.13	69	3 -2 2
42.02	32	4 -3 1
44.71	27	2 1 4
46.86	41	2 2 3

Structure:
abc: 9.1264 9.1264 11.0347
angles: 90.00 90.00 120.00
Space group R-3 (No. 148, hexagonal axes)
Unique sites:
Ca: 0.0000 0.0000 0.0000 x3
Rh: 0.0165 0.1998 0.3867 x18
S: 0.0000 0.0000 0.2480 x6
S: 0.0057 0.3883 0.2476 x18

2.
Theoretical powder XRD pattern of Ca3Sb2Rh2 for Cu Kα (weighted mean of Kα1 and Kα2), from the PBE geometry in Alexandria.
Intensities are scaled so that the largest is 100.

Top 6 peaks for 2θ = 10–90°, low angle first:
2θ/deg	Rel. int.	hkl
19.65	64	1 1 1
19.99	67	1 0 2
32.65	75	2 1 0
35.42	59	1 3 0
38.19	100	2 1 3
44.82	41	0 2 6

Structure:
abc: 5.798 8.453 13.822
angles: 90.00 90.00 90.00
Space group Pbcm (No. 57)
Unique sites:
Ca: 0.133 0.240 0.250 x4
Ca: 0.352 0.604 0.099 x8
Sb: 0.130 0.250 0.000 x4
Sb: 0.360 0.607 0.750 x4
Rh: 0.131 0.531 0.587 x8
+++
**So much for the data records:**

Today’s workday went much as expected – crazy. It’s the heaviest day for our applications, which means a whole lot of people trying to get through the necessary reset of their credentials (necessary because changing user management system plus one-way encryption = you must reset your password) – based on login records in the older Read More…


The Day After The Day

You guessed it – more chaos today. I did manage to work out that one of the problems is that while our customers, the customer support people, and my team are all using the same words, we’re not using them to mean the same thing. This means we’re often needing several go-arounds to work out Read More…


Well. That was fun.

For meanings of fun that include spending the day in hyper-mode, trying to reproduce problems customers report, trying to find tactful ways to report back that a problem is user error, figuring out which problems are real bugs and which ones are user error, then trying to work out just how much hand-holding we want Read More…
